== What to do ==
Now retype the material below from the line with "1.5925 0.192" to the end word for word.

== Data ==
# 1
91
Properties=species:S:1:pos:R:3:forces:R:3:lowdin_charge:R:1 method="wB97M-V/def2-TZVPD" spin_multiplicity=1 homo_lumo_gap_ev=7.081 homo_energy_ev=-5.622 total_charge=-1 lumo_energy_ev=1.46
N 0.3839 -2.4148 1.5684 -0.327 -0.289 -0.773 0.12
B -0.6209 -3.3142 0.9238 1.226 0.933 -1.630 -0.52
O -0.7250 -3.4231 -0.5219 0.477 -0.791 2.710 0.04
S -1.7304 -4.3196 2.1085 -5.031 -1.963 1.033 0.62
O -1.9384 -5.7440 1.6345 1.725 2.425 0.903 -0.40
O -3.0998 -3.6382 2.0054 3.549 -0.218 0.271 -0.40
N -1.2534 -4.1680 3.7398 1.648 -2.040 -2.670 -0.33
S -0.0663 -5.3187 4.1566 -1.159 -0.657 5.955 0.60
O -0.6382 -6.6670 4.5940 1.231 2.867 -2.602 -0.45
O 0.6436 -4.7713 5.3947 -1.111 -0.424 -3.710 -0.42
C 1.2586 -5.5349 2.8774 1.353 -1.128 -0.459 -0.23
C 0.9900 -6.7153 1.8264 -0.997 2.296 -4.399 -0.75
O 0.8413 -6.4568 0.5999 0.902 -0.954 5.068 -0.09
I 0.8156 -8.8312 2.3588 0.215 1.045 0.108 0.78
H 0.2552 -1.4264 1.3076 0.108 -0.587 0.131 0.06
H 1.3460 -2.6651 1.2643 -0.811 0.268 0.174 0.06
H -0.1555 -4.1986 -0.7380 -0.596 0.456 -0.202 0.09
H 2.2098 -5.8456 3.4547 -1.720 0.490 -0.546 0.12
H 1.5468 -4.5464 2.3603 -0.846 -1.694 0.733 0.08
C 4.2997 -2.9216 1.5925 0.192 0.544 -0.001 -0.32
O 3.5154 -3.5105 2.3137 0.097 0.244 -0.068 0.01
N 4.6710 -1.6197 1.7361 -0.021 -0.789 -0.261 -0.19
C 5.6109 -0.9849 0.8368 -0.194 0.077 0.190 -0.06
C 4.1062 -0.8440 2.8250 -0.246 -0.238 0.137 -0.04
H 4.7846 -3.4184 0.7365 0.050 0.065 -0.044 0.13
H 6.4731 -0.6349 1.4110 0.066 0.061 -0.165 0.08
H 5.1230 -0.1340 0.3544 0.151 0.004 -0.068 0.09
H 5.9514 -1.6834 0.0706 -0.086 0.003 0.107 0.08
H 4.3600 -1.3218 3.7745 -0.109 0.111 0.011 0.09
H 3.0186 -0.8231 2.7237 0.077 0.103 0.144 0.09
H 4.4952 0.1746 2.8110 -0.010 -0.134 -0.122 0.09
C -5.0918 -8.3214 2.8891 0.165 0.348 0.471 -0.34
O -5.7780 -9.2973 2.6258 -0.098 -0.029 0.230 -0.02
N -4.9633 -7.7610 4.1228 -0.091 -0.285 -0.803 -0.20
C -4.1266 -6.5985 4.3578 -0.002 -0.025 0.179 -0.05
C -5.6840 -8.3434 5.2357 -0.037 -0.173 -0.331 -0.06
H -4.5029 -7.8026 2.1164 0.048 0.074 0.119 0.14
H -3.3569 -6.8563 5.0888 0.093 0.217 -0.124 0.09
H -4.7472 -5.7874 4.7487 0.140 0.087 -0.024 0.09
H -3.6466 -6.2688 3.4352 -0.018 -0.092 0.107 0.06
H -5.3737 -9.3843 5.3591 -0.149 0.019 0.127 0.09
H -6.7558 -8.3213 5.0202 0.004 -0.110 0.160 0.08
H -5.4828 -7.7892 6.1531 0.065 0.013 -0.167 0.08
C 0.8250 1.1380 -0.1997 -0.258 0.291 -0.040 -0.34
O 1.8301 1.0013 0.4747 -0.128 0.230 0.000 0.00
N 0.0358 2.2489 -0.2220 0.353 -0.687 -0.150 -0.20
C -1.1470 2.3349 -1.0537 0.108 0.145 0.179 -0.05
C 0.3907 3.3801 0.6124 0.163 -0.153 0.102 -0.04
H 0.4659 0.3393 -0.8692 -0.070 0.012 -0.024 0.13
H -1.0356 3.1735 -1.7465 -0.186 -0.038 -0.042 0.08
H -2.0194 2.5008 -0.4168 -0.082 0.003 -0.196 0.09
H -1.2909 1.4161 -1.6245 0.082 0.046 0.110 0.08
H 1.3886 3.7294 0.3341 -0.039 0.090 0.145 0.09
H 0.4094 3.0618 1.6576 0.073 0.165 -0.025 0.10
H -0.3298 4.1896 0.4882 0.029 -0.131 -0.063 0.08
C 0.4704 6.7341 -1.0267 0.121 -0.110 -0.629 -0.37
O -0.6800 6.9113 -0.6667 0.063 -0.092 -0.141 0.00
N 0.8593 6.3993 -2.2873 -0.007 0.141 0.885 -0.19
C 2.2510 6.2056 -2.6354 -0.248 0.017 -0.123 -0.06
C -0.1505 6.2315 -3.3140 -0.408 -0.013 0.202 -0.05
H 1.3161 6.8361 -0.3267 0.103 -0.020 -0.047 0.13
H 2.5239 6.9162 -3.4198 0.142 -0.082 0.022 0.09
H 2.3881 5.1851 -3.0025 0.191 0.062 -0.013 0.09
H 2.8962 6.3635 -1.7694 -0.125 -0.012 -0.033 0.08
H -0.7057 7.1632 -3.4227 0.028 -0.207 -0.094 0.06
H -0.8438 5.4431 -3.0083 0.001 -0.003 -0.132 0.08
H 0.3111 5.9656 -4.2656 0.058 0.042 0.158 0.09
C 0.8935 -3.8414 -3.9733 -0.275 0.194 -0.064 -0.34
O 1.4619 -3.4025 -2.9931 -0.138 0.103 -0.197 0.02
N -0.1300 -3.2247 -4.6298 0.503 -0.471 0.095 -0.20
C -0.7605 -3.8102 -5.7940 -0.031 0.241 0.204 -0.07
C -0.6017 -1.9417 -4.1455 0.171 -0.036 0.311 -0.05
H 1.1741 -4.8088 -4.4207 -0.078 -0.025 -0.081 0.13
H -0.6463 -3.1294 -6.6420 -0.108 -0.142 -0.106 0.08
H -1.8231 -3.9603 -5.5864 0.010 -0.078 -0.193 0.09
H -0.3061 -4.7705 -6.0430 0.001 0.101 0.097 0.08

== Here it is ==
C 4.2997 -2.9216 1.5925 0.192 0.544 -0.001 -0.32
O 3.5154 -3.5105 2.3137 0.097 0.244 -0.068 0.01
N 4.6710 -1.6197 1.7361 -0.021 -0.789 -0.261 -0.19
C 5.6109 -0.9849 0.8368 -0.194 0.077 0.190 -0.06
C 4.1062 -0.8440 2.8250 -0.246 -0.238 0.137 -0.04
H 4.7846 -3.4184 0.7365 0.050 0.065 -0.044 0.13
H 6.4731 -0.6349 1.4110 0.066 0.061 -0.165 0.08
H 5.1230 -0.1340 0.3544 0.151 0.004 -0.068 0.09
H 5.9514 -1.6834 0.0706 -0.086 0.003 0.107 0.08
H 4.3600 -1.3218 3.7745 -0.109 0.111 0.011 0.09
H 3.0186 -0.8231 2.7237 0.077 0.103 0.144 0.09
H 4.4952 0.1746 2.8110 -0.010 -0.134 -0.122 0.09
C -5.0918 -8.3214 2.8891 0.165 0.348 0.471 -0.34
O -5.7780 -9.2973 2.6258 -0.098 -0.029 0.230 -0.02
N -4.9633 -7.7610 4.1228 -0.091 -0.285 -0.803 -0.20
C -4.1266 -6.5985 4.3578 -0.002 -0.025 0.179 -0.05
C -5.6840 -8.3434 5.2357 -0.037 -0.173 -0.331 -0.06
H -4.5029 -7.8026 2.1164 0.048 0.074 0.119 0.14
H -3.3569 -6.8563 5.0888 0.093 0.217 -0.124 0.09
H -4.7472 -5.7874 4.7487 0.140 0.087 -0.024 0.09
H -3.6466 -6.2688 3.4352 -0.018 -0.092 0.107 0.06
H -5.3737 -9.3843 5.3591 -0.149 0.019 0.127 0.09
H -6.7558 -8.3213 5.0202 0.004 -0.110 0.160 0.08
H -5.4828 -7.7892 6.1531 0.065 0.013 -0.167 0.08
C 0.8250 1.1380 -0.1997 -0.258 0.291 -0.040 -0.34
O 1.8301 1.0013 0.4747 -0.128 0.230 0.000 0.00
N 0.0358 2.2489 -0.2220 0.353 -0.687 -0.150 -0.20
C -1.1470 2.3349 -1.0537 0.108 0.145 0.179 -0.05
C 0.3907 3.3801 0.6124 0.163 -0.153 0.102 -0.04
H 0.4659 0.3393 -0.8692 -0.070 0.012 -0.024 0.13
H -1.0356 3.1735 -1.7465 -0.186 -0.038 -0.042 0.08
H -2.0194 2.5008 -0.4168 -0.082 0.003 -0.196 0.09
H -1.2909 1.4161 -1.6245 0.082 0.046 0.110 0.08
H 1.3886 3.7294 0.3341 -0.039 0.090 0.145 0.09
H 0.4094 3.0618 1.6576 0.073 0.165 -0.025 0.10
H -0.3298 4.1896 0.4882 0.029 -0.131 -0.063 0.08
C 0.4704 6.7341 -1.0267 0.121 -0.110 -0.629 -0.37
O -0.6800 6.9113 -0.6667 0.063 -0.092 -0.141 0.00
N 0.8593 6.3993 -2.2873 -0.007 0.141 0.885 -0.19
C 2.2510 6.2056 -2.6354 -0.248 0.017 -0.123 -0.06
C -0.1505 6.2315 -3.3140 -0.408 -0.013 0.202 -0.05
H 1.3161 6.8361 -0.3267 0.103 -0.020 -0.047 0.13
H 2.5239 6.9162 -3.4198 0.142 -0.082 0.022 0.09
H 2.3881 5.1851 -3.0025 0.191 0.062 -0.013 0.09
H 2.8962 6.3635 -1.7694 -0.125 -0.012 -0.033 0.08
H -0.7057 7.1632 -3.4227 0.028 -0.207 -0.094 0.06
H -0.8438 5.4431 -3.0083 0.001 -0.003 -0.132 0.08
H 0.3111 5.9656 -4.2656 0.058 0.042 0.158 0.09
C 0.8935 -3.8414 -3.9733 -0.275 0.194 -0.064 -0.34
O 1.4619 -3.4025 -2.9931 -0.138 0.103 -0.197 0.02
N -0.1300 -3.2247 -4.6298 0.503 -0.471 0.095 -0.20
C -0.7605 -3.8102 -5.7940 -0.031 0.241 0.204 -0.07
C -0.6017 -1.9417 -4.1455 0.171 -0.036 0.311 -0.05
H 1.1741 -4.8088 -4.4207 -0.078 -0.025 -0.081 0.13
H -0.6463 -3.1294 -6.6420 -0.108 -0.142 -0.106 0.08
H -1.8231 -3.9603 -5.5864 0.010 -0.078 -0.193 0.09
H -0.3061 -4.7705 -6.0430 0.001 0.101 0.097 0.08